Sunday, May 13, 2018

Does It Matter What Programming Languages We Teach in High School

I’m tempted to just leave this post blank and see what sort of comments it gets. But I am incapable of that. Sorry.

# 1
The following is a PBE calculation of a geometry-optimized MgZr4Zn structure, from Alexandria.

Unit cell a=3.197 b=3.197 c=12.850 alpha=90.00 beta=90.00 gamma=90.00
Positions (direct):
Mg: 0.000 0.000 0.000
Zr: 0.000 0.000 0.357
Zr: 0.000 0.000 0.643
Zr: 0.500 0.500 0.185
Zr: 0.500 0.500 0.815
Zn: 0.500 0.500 0.500

Properties
**Space group**: P4/mmm, No. 123
**Energy of formation from the pure elements**: -83.5 meV per atom
**Offset from the most stable computed form**: 0.0000 eV per atom
**Calculated total energy**: -37.56 eV/cell
**Fermi-level density of states**: 5.90 states/eV per cell

=====

# 2
The following is a PBE calculation of a geometry-optimized Ga2SnCl2 structure, from Alexandria.

Unit cell a=8.410 b=8.410 c=3.641 alpha=90.00 beta=90.00 gamma=90.00
Positions (direct):
Ga: 0.180 0.320 0.000
Ga: 0.320 0.820 0.000
Ga: 0.680 0.180 0.000
Ga: 0.820 0.680 0.000
Sn: 0.000 0.000 0.500
Sn: 0.500 0.500 0.500
Cl: 0.143 0.643 0.500
Cl: 0.357 0.143 0.500
Cl: 0.643 0.857 0.500
Cl: 0.857 0.357 0.500

Properties
**Space group**: P4/mbm, No. 127
**Raw formation energy**: -276 meV/atom
**Offset from the most stable computed form**: 0.0076 eV per atom
**Calculated total energy**: -30.26 eV/cell
**Fermi-level density of states**: 2.59 states/eV per cell

=====

# 3
The following is a PBE calculation of a geometry-optimized KLi2CdAg structure, from Alexandria.

Unit cell a=5.212 b=5.212 c=5.406 alpha=90.00 beta=90.00 gamma=90.00
Positions (direct):
K: 0.000 0.000 0.000
Li: 0.000 0.500 0.500
Li: 0.500 0.000 0.500
Cd: 0.500 0.500 0.000
Ag: 0.500 0.500 0.500

Properties
**Space group**: P4/mmm, No. 123
**Energy of formation from the pure elements**: 0.5 meV per atom
**Calculated total energy**: -8.69 eV/cell
**Fermi-level density of states**: 2.23 states/eV per cell

=====

# 4
The following is a PBE calculation of a geometry-optimized PmPr3Se4 structure, from Alexandria.

Unit cell a=8.586 b=12.024 c=4.203 alpha=90.00 beta=90.00 gamma=90.00
Positions (direct):
Pm: 0.000 0.000 0.000
Pm: 0.500 0.500 0.000
Pr: 0.000 0.500 0.000
Pr: 0.250 0.250 0.500
Pr: 0.250 0.750 0.500
Pr: 0.500 0.000 0.000
Pr: 0.750 0.250 0.500
Pr: 0.750 0.750 0.500
Se: 0.000 0.248 0.000
Se: 0.000 0.752 0.000
Se: 0.246 0.000 0.500
Se: 0.254 0.500 0.500
Se: 0.500 0.252 0.000
Se: 0.500 0.748 0.000
Se: 0.746 0.500 0.500
Se: 0.754 0.000 0.500

Properties
**Space group**: Cmmm, No. 65
**Raw formation energy**: -1840 meV/atom
**Offset from the most stable computed form**: 0.0042 eV per atom
**Calculated total energy**: -95.49 eV/cell
**Fermi-level density of states**: 10.38 states/eV per cell

=====

# 5
The following is a PBE calculation of a geometry-optimized La4NdTl2 structure, from Alexandria.

Unit cell a=6.756 b=5.545 c=6.891 alpha=90.00 beta=118.65 gamma=90.00
Positions (direct):
La: 0.047 0.000 0.307
La: 0.208 0.500 0.858
La: 0.792 0.500 0.142
La: 0.953 0.000 0.693
Nd: 0.500 0.500 0.500
Tl: 0.480 0.000 0.206
Tl: 0.520 0.000 0.794

Properties
**Space group**: P2/m, No. 10

Assuming we are preparing high school students for university and other advanced education and not for jobs right out of high school, what difference does it make what languages we teach? After all, concepts are what really matters. It is hard to pick what languages our students will be expected to learn when they get to higher education.

Universities are using C++, Java, Python, Scheme, and who knows what else as their first programming language.Can we teach them all? Not hardly. Often we only have students for a semester or two. If we’re lucky three or four semesters. A few students in a few schools will have more. But still there is an awful lot we could and probably should be teaching them. Overloading the languages is not likely to be helpful.

There is some indication that the second programming language is the hardest to learn so maybe we try to teach two and not worry too much about which two. At least they will be well situated to learn what ever their university professors throw at them.

On the other hand some would argue that with limited time we should go all in on just one. One or two the question becomes which one or two? Does it matter as long as the basic concepts are taught?


  1. Anonymous10:50 AM

    Prioritize a combination of a language that is enjoyable to use, a pretty IDE, and something that prototypes quickly so students feel like they're making progress. When I first learned to code in high school I was taught Java, which was boring + lame and I felt like I put in alot of effort to hardly make anything. I took one look at Android Studio and decided that making apps was for boring old nerds. It wasn't until I discovered Swift that I realized how fun coding could be and how quickly I could bring my ideas to life. Of course, Xcode is not without its fair share of issues either.

  2. Anonymous10:55 AM

    (Same person here) Netbeans? Eclipse IDE? please murder me. IMO "falling in love" with programming is far and away more important than fundamentals at the beginning. So either making a cool app or an experience that resembles mainstream media's misinformed perception of hackers as much as possible.

  3. I am a believer in teaching my students how to learn a language. Like you say, who knows what the flavor of the month will be when they hit college. Every time I talk to a university programming instructor they all say the language is unimportant, the ability to think and problem solve is. I like doing the same program in two or three languages. Spend a lot of time in design for the first language, then play with syntax for the next. I also think that HS language depends greatly on the teacher. If a teacher feels they can teach with the language, that is the best language to go with. From Scratch to Java, other than syntax, they all require the same teaching strategy.

    If I were teaching for industry my teaching languages would be very different. More like Swift, HTML, Android Studio, JavaScript and other app writing languages. If a language cannot write phone and tablet apps its future is limited. Luckily I am not teaching to industry.

  4. I'm mostly with Garth on this one; Though I approach it differently. I attempt to instill that language is mostly unimportant. In the first course, I'm more interested in getting students to think through a problem, abstract patterns, design solutions, think about how solutions break, and putting the pieces together. Students then do projects in whatever they want. Sometimes, they have to learn parts of a new language.

    I teach two intro courses -- one in a functional language (JS) and one in an OO language (Java). The languages were chosen because of the topics covered (Server/Client/Web vs. Android). Both lead into a Data Structures course. That means I get students at least seeing more than one language, and they begin contemplating why some languages are better than others for particular problems.

    The skill of Programming is way down on my priority list, unless I know I students actively looking for internships.

  5. Edward Bujak8:18 AM

    I wholeheartedly agree with Garth and Brian. The programming language is less important than the valuable topics, strategies, and techniques learned that can extend and be easily mapped to all languages. That being said there are different languages that can and cannot be used to demonstrate important computational thinking concepts. Imperative, procedural languages, OOP languages, functional languages, deductive logic languages,.... illustrate different features well with different computer concepts.
